A Nearly Patch-less Tuesday

Tomorrow, many (but not enough, in my opinion) will take the day off in honor of Veterans Day. The only trouble for IT is tomorrow is also Patch Tuesday. Luckily, only two patches are expected tomorrow. And only one of these patches, to fix a remote code execution in Office and Windows, is deemed critical. More

Posted by Doug Barney on November 10, 20080 comments

Yahoo Suddenly Cuckoo for Microsoft

Microsoft and Yahoo sometimes act more like dating teenagers than real grown-up companies. First, Microsoft asked Yahoo to be its one and only with a multibillion-dollar bid. Yahoo wanted to play the field, and said, "Thanks, but no thanks." Then Microsoft, feeling snubbed, pulled back its affections -- just when Yahoo was starting to get interested.

Now that Yahoo's relationship with Google to share ad revenue More

Posted by Doug Barney on November 10, 20080 comments

Windows Server 2008: The More Cores, the Better

I've long been concerned about XP's and Vista's inability to exploit multi-core processors . Both generally do a good job of using dual-cores and, depending on the apps, can gain some benefit from quad-cores.

Windows Server is different. The latest rev of Windows Server 2008 uses up to 64 processors. R2, due out in the next year or two, promises to exploit as many as 256. That could handle some mighty big databases, legions of mailboxes and a fair share of SharePoint!


Posted by Doug Barney on November 10, 20080 comments

Mailbag: Windows 7 vs. XP vs. Vista

Based on early demos, Windows 7 already looks much-improved compared to Vista. Doug asked readers how they think the next OS will stack up to its predecessors:

Maybe Microsoft will get it right with Windows 7. I've said all along that if Microsoft had an OS which was small and responsive, it would win over many companies. If the price is right and the performance is better than XP on our computers, we would switch to the new Vista.

Windows 7 was good to take out some of the driver loading. But I've seen some of the videos of demos and they are ALL about appearance. Most of us don't need fancy front-ends (many people rarely have more than one app running at a time, possibly two if they are daft enough to monitor their e-mail). They need something simpler, more stable and more secure.

I think Windows 7 is already competing more with Vista than it will with XP. However, as I think of my recently bought laptop and the pain I went through to get my apps working, I doubt that I will risk losing them by updating to Windows 7. This is in spite of the good words about Win 7. There is peripheral hardware involved and I am not confident the change would go well.

Windows XP can be a more effective OS, but it still lacks in operating ability, troubleshooting techniques and user-friendliness. XP has been around for about seven years, but it still doesn't meet today's customer expectations. I think Microsoft should have developed and invested more on XP rather than any other OS.

We have resisted using XP in our organisation for some time now since upgrading from 2000. Because of the fact that XP is very stable (ironically, not on my PC at home) and performs very well on our newer PCs, we have no reason to use Vista. We will be keeping a keen eye on Win 7 as hopefully it will fulfil the role Vista was supposed to.

I have used Vista a number of times and although the general look and feel are OK and functional, it still seems overly heavy on hardware.


Posted by Doug Barney on November 10, 20080 comments

Windows 7 Meets PC Makers

With the Professional Developers Conference (PDC) barely over, Microsoft conference organizers have already moved onto WinHEC, the Windows Hardware Engineering Conference. PDC was all about Windows 7. Guess what? So is WinHEC !

Most know that one of Vista's biggest bugaboos is hardware incompatibility. It's no surprise, then, that hardware compatibility was Topic No. 1 at WinHEC, where Windows execs touted a new approach to integrating and loading all those device drivers.


Posted by Doug Barney on November 06, 20080 comments

Adobe Patches the Stack

Adobe Reader is about as ubiquitous to PC users as milk is to babies. That's why the Adobe Reader's stack overflow flaw is so troubling and installing Adobe's new patch so important.

Without the patch, hackers can build a malicious PDF -- and once one is built, these creeps will pass it around like a bottle of Ripple in a hobo camp. This one bad PDF, then, could let hackers control literally millions of PCs.


Posted by Doug Barney on November 06, 20080 comments

Mailbag: Your Thoughts on Cloud Computing

Last week, after Microsoft announced plans to offer a stripped-down version of Office to run in the cloud , Doug asked readers what it would take for them to put their files on the Web. Here's what you said:

A frontal lobotomy and a bottle in front of me.

# These records of molecules were left in the piece by mistake
/*
## i
{"formula": "C3H12O3", "method": "the ωB97M-V functional and the def2-TZVPD basis", "symbols": ["C", "O", "H", "H", "H", "H", "C", "O", "H", "H", "H", "H", "C", "O", "H", "H", "H", "H"], "xyz": [[0.99, 5.60, -15.08], [1.60, 4.39, -15.28], [0.09, 5.60, -14.47], [1.70, 6.06, -14.40], [0.79, 6.20, -15.97], [1.75, 4.01, -14.41], [1.48, 8.25, -14.50], [0.28, 9.02, -14.30], [1.65, 7.40, -13.84], [1.41, 7.75, -15.47], [2.41, 8.80, -14.40], [0.11, 9.17, -13.37], [2.76, 2.16, -14.29], [1.81, 2.77, -13.41], [3.03, 2.63, -15.23], [3.67, 1.77, -13.81], [2.43, 1.23, -14.76], [0.97, 2.33, -13.54]], "charge": 0, "smiles": "CO.CO.CO", "homo_energy_ev": -9.250}

=====

## ii
{"formula": "C3H12O3", "method": "the ωB97M-V functional and the def2-TZVPD basis", "symbols": ["C", "C", "C", "O", "H", "H", "H", "H", "H", "H", "H", "H", "H", "H", "O", "H", "H", "O"], "xyz": [[-0.62, 0.36, -1.32], [0.05, 0.17, 0.05], [1.34, -0.64, 0.00], [-0.86, -0.29, 1.07], [-0.19, 1.27, -1.75], [-1.59, 0.73, -1.00], [-0.50, -0.52, -1.93], [0.25, 1.14, 0.51], [1.97, -0.27, -0.80], [1.20, -1.70, -0.27], [1.74, -0.77, 1.00], [-1.42, -0.97, 0.72], [-0.17, 3.79, 0.71], [-0.40, 3.96, -0.81], [-0.54, 3.37, -0.06], [-0.44, -3.60, 1.87], [0.02, -2.56, 0.90], [0.15, -3.50, 1.10]], "charge": 0, "smiles": "CC(C)O.O.O", "homo_energy_ev": -10.317}

=====

## iii
{"formula": "C3H12O3", "method": "the ωB97M-V functional and the def2-TZVPD basis", "symbols": ["C", "O", "H", "H", "H", "H", "C", "O", "H", "H", "H", "H", "C", "O", "H", "H", "H", "H"], "xyz": [[0.25, -3.02, -0.83], [1.03, -3.04, -2.02], [0.58, -3.84, -0.19], [0.42, -2.08, -0.30], [-0.79, -3.25, -1.02], [0.52, -2.65, -2.73], [-1.36, 0.07, -0.39], [-1.77, 1.41, -0.14], [-1.79, -0.61, 0.34], [-1.70, -0.22, -1.38], [-0.27, -0.01, -0.36], [-2.00, 1.83, -0.97], [1.24, 2.29, 1.43], [1.43, 3.42, 2.29], [0.92, 1.49, 2.11], [0.52, 2.42, 0.63], [2.20, 2.01, 0.99], [0.58, 3.77, 2.55]], "charge": 0, "smiles": "CO.CO.CO", "homo_energy_ev": -10.132}

=====

Question: of the structures shown, which is the most stable? Reply: ii.
*/

In your article, you ask what it would take for a reader to put their files in a cloud somewhere. My answer is: NOTHING. I wouldn't do it. I know we're breeding a whole new generation that believes having your apps and files in a cloud is supposed to be more appealing and secure than traditional methods, but for me, I don't want my files to be the responsibility of anyone but myself. If my Internet connection is down and I need to work, where are my files? If the Web site where they are stored gets taken down or fails, where are my files? If I have to access the Internet over dial-up, are my files really accessible? If someone hacks the site hosting my files, are they still there, and if so, are they all over the world, as well?

No thank you! I will keep my files safe, secure and backed up at my home office and continue to use offline files when I travel. It's worked for me for years, and with nine copies and regular tape backups (moved offsite every week), I'll continue to have my files to work with when I need them and without all the worries. For individuals who are comfortable with the possibility of having their files unavailable, maybe it's a good thing. For myself, I can't imagine giving my file storage and safety away. It's almost like asking your best friend to mind your checkbook for you and make sure all your bills are paid, too. I may trust them, but never that far.

I can't see myself using such capabilities in the near future. I have 100GB of information and backups that I manage securely between my three personal computers. Growth rate is 1 to 1.5GB per month. Remote access has not been an issue thus far as a flash drive and a laptop have proved sufficient for data I need to access away from home.

I think cloud computing and Internet banking have some similarities. Why do I manage my money over the Web? I have a written contract with the bank. I can see my bank balance and my transactions at any time. I have access to history. I know that I can withdraw my money whenever I need it. (The analogy breaks down a bit here.) And I'm working with a firm that I can trust.

I'd want all of these things before storing my data in the cloud. I'd also want to be able to 'back up' my files onto my personal computer whenever I choose.


Posted by Doug Barney on November 06, 20080 comments

Google Repairs Android

Google's Android OS may be small (small enough to drive the new Google phone) but it has plenty of code it seems for hackers to attack. Case in point: Last week, researchers showed how hackers can take over the phone by tricking the user into going to a malicious Web page. With that control, your passwords could be stolen, no matter how many obscure letters and characters they contain. More

Posted by Doug Barney on November 06, 20080 comments

Obama, McCain and High-Tech

Yesterday , I wondered where Sen. McCain and now President-elect Obama stood on high-tech issues. Well, all I had to do was go to the candidates' Web sites -- the answers were already there!

Obama is for network neutrality (so we can do pretty much what we want with our broadband connections), wants to expand these broadband networks to areas not currently covered, invest in the American high-tech industry, and use the Internet to let citizens track government more closely.


Posted by Doug Barney on November 05, 20080 comments

It's the Economy, Dummkopf

Anyone with a 401(k), a TV set or an ounce of sense knows our economy is in deep fill-in-the-blank-with-the-expletive-of-your-choice. IT has been through bad times before -- jobs were lost, budgets were slashed and cool technologies were never adopted.

This one could be even worse. And preparations, if not already underway, should be made soon. Smart IT folks like yourselves are proactive, finding ways to cut spending before bosses decide your salary is a great place to start. Upgrades may be downgraded, servers virtualized so they do more, little-used apps decommissioned, and perhaps cloud services eyed as replacements for expensive server-bound programs.


Posted by Doug Barney on November 05, 20080 comments

Chrome Review, Takes 1 and 2

Chrome is still in beta, but that isn't stopping reviewers from weighing in. On our Web site is a review that finds Chrome to be pretty good, pretty simple and pretty much in need of a few more features like RSS.

But if you want to really dive deep into Chrome, check out what you and your fellow IT pros had to say in More

Posted by Doug Barney on November 05, 20080 comments

Mailbag: The Election Edition

Readers share their thoughts on the presidential election and what it would really take to boost the economy:

I think that many will be surprised at the election results this year. And as for the economy, I think we have more tough times ahead and getting the government involved may not be the best course of action, unless it is to encourage the banks to work with their customers to see what can be done to keep them in their homes. I believe that these business cycles will happen no matter what the government tries to do. All we can do is pray and vote.

The Austrian School of Economics' theory of the business cycle predicted America's current financial fiasco, and its proponents like Congressman Ron Paul not only recommended methods to avoid the disaster but have provided recommendations on how to get ourselves out of it. Unfortunately, neither of the leading presidential candidates (one of whom will be president-elect shortly after I send this message) seems to have ever heard of the Austrian School of Economics and probably wouldn't recognize that their own proposed "solutions" are merely warmed-over Keynesian or even Marxist/fascist ideas in some cases.

That said, I believe three things about the election: One, whoever wins will regret winning by this time next year. Two, nothing is going to fundamentally change for the better. Three, Americans are hosed (or should I say sheared?) regardless of the outcome. Also, government should leave IT alone. But I think government should leave everybody alone which would put all of those government busybodies out of work -- so that ain't gonna happen, is it?

You said: "Apparently, when you have a $10 trillion deficit and a collapsing economy, the answer is to increase spending and cut taxes. If I ran Redmond that way, it would be out of business; and if I ran my house that way, I'd be in a run-down apartment and my 1980 Porsche 928 would be repossessed."

I would like to point out that tax rates (I emphasize the word "rates"') are a lot like prices. When a business is not getting enough buyers for its products or services and its revenues are down, reducing the prices for those goods and services is often a good idea. It is often possible to get enough new buyers to bring overall revenues up. Government tax rates often behave in a similar fashion, which is why, for instance, capital gains tax rate reductions have usually resulted in increased revenues. I think you will also find that the last few times that income tax rates were reduced, revenue did not fall.


Posted by Doug Barney on November 05, 20080 comments